Entries:
'''
1.
Starting from a DFT-relaxed cell (PBE+U, the Materials Project), the X-ray diffraction stick pattern of Mn12O7F17 was calculated for λ = 1.5418 Å (Cu Kα).
Kinematic intensities with the Lorentz-polarization factor, no thermal factor.

Largest 10 diffraction maxima, in order of falling intensity, 2θ = 5–70°:
2θ/deg  I/Imax
29.0  100
23.6  90
29.1  87
30.1  86
29.9  81
24.7  80
51.3  75
51.7  41
39.5  38
51.5  36

Atomic structure:
```
Mn12O7F17
1.0
4.787 0.000 0.000
-0.275 5.775 0.000
-0.125 -0.060 15.889
Mn O F
12 7 17
direct
0.000 0.000 0.000 Mn
0.002 0.287 0.497 Mn
0.005 0.989 0.655 Mn
0.021 0.976 0.334 Mn
0.027 0.308 0.836 Mn
0.032 0.301 0.161 Mn
0.500 0.794 0.826 Mn
0.503 0.481 0.317 Mn
0.523 0.803 0.156 Mn
0.541 0.468 0.983 Mn
0.557 0.472 0.654 Mn
0.560 0.807 0.497 Mn
0.296 0.536 0.207 O
0.315 0.511 0.882 O
0.758 0.760 0.600 O
0.808 0.028 0.445 O
0.810 0.034 0.111 O
0.815 0.261 0.939 O
0.824 0.245 0.603 O
0.242 0.272 0.391 F
0.251 0.252 0.721 F
0.252 0.019 0.892 F
0.268 0.766 0.711 F
0.272 0.263 0.058 F
0.277 0.037 0.226 F
0.285 0.039 0.553 F
0.295 0.531 0.541 F
0.309 0.762 0.043 F
0.328 0.772 0.390 F
0.756 0.759 0.264 F
0.763 0.528 0.427 F
0.764 0.532 0.093 F
0.764 0.541 0.768 F
0.769 0.759 0.931 F
0.788 0.046 0.776 F
0.815 0.263 0.270 F
```

***

2.
Starting from a DFT-relaxed cell (PBE+U, the Materials Project), the X-ray diffraction stick pattern of Li2V3TeO8 was calculated for λ = 1.5418 Å (Cu Kα).
Kinematic intensities with the Lorentz-polarization factor, no thermal factor.

Largest 10 diffraction maxima, in order of falling intensity, 2θ = 5–70°:
2θ/deg  I/Imax
17.9  100
41.6  50
34.4  35
33.6  20
59.3  16
20.5  11
36.2  11
46.2  10
61.3  10
55.0  8

Atomic structure:
```
Li2V3TeO8
1.0
5.240 -3.018 0.000
5.240 3.018 0.000
-3.487 0.000 5.169
Li V Te O
2 3 1 8
direct
0.000 0.000 0.000 Li
0.742 0.742 0.227 Li
0.371 0.371 0.617 V
0.371 0.875 0.618 V
0.875 0.371 0.618 V
0.374 0.374 0.122 Te
0.127 0.127 0.844 O
0.128 0.590 0.848 O
0.138 0.138 0.414 O
0.153 0.609 0.378 O
0.590 0.128 0.848 O
0.606 0.606 0.818 O
0.609 0.153 0.378 O
0.610 0.610 0.374 O
```

***

3.
Starting from a DFT-relaxed cell (PBE+U, the Materials Project), the X-ray diffraction stick pattern of MgTlV4O10 was calculated for λ = 1.5418 Å (Cu Kα).
Kinematic intensities with the Lorentz-polarization factor, no thermal factor.

Largest 10 diffraction maxima, in order of falling intensity, 2θ = 5–70°:
2θ/deg  I/Imax
8.7  100
26.5  84
18.4  80
35.3  79
15.8  76
32.4  68
14.7  55
29.5  47
44.6  47
25.6  45

Atomic structure:
```
MgTlV4O10
1.0
3.810 0.000 0.000
-1.903 6.103 0.000
-0.015 -1.732 10.155
Mg Tl V O
1 1 4 10
direct
0.000 0.000 0.000 Mg
0.549 0.085 0.226 Tl
0.117 0.210 0.732 V
0.245 0.470 0.478 V
0.814 0.606 0.741 V
0.940 0.861 0.474 V
0.099 0.178 0.538 O
0.129 0.233 0.903 O
0.186 0.351 0.314 O
0.280 0.538 0.702 O
0.407 0.794 0.485 O
0.654 0.286 0.730 O
0.783 0.545 0.518 O
0.865 0.707 0.907 O
0.950 0.882 0.306 O
0.968 0.913 0.692 O
```

* * * * *

(1)
Diffraction record for Cs2ReTe3. The powder XRD pattern is calculated, not measured: it uses the GGA-PBE geometry in OQMD and copper Kα.
Lines closer than 0.1° are merged.

Structural model:
```
12
Lattice="7.8115 -3.9507 0.0000 7.8115 3.9507 0.0000 -6.8436 0.0000 9.0396" Properties=species:S:1:pos:R:3 pbc="T T T"
Cs -1.1700 0.0000 3.3645
Cs 3.4148 0.0000 1.6751
Cs 5.3646 0.0000 7.3645
Cs 9.9493 0.0000 5.6751
Re 0.4840 0.0000 7.7267
Re 8.2954 0.0000 1.3129
Te -2.0234 0.0000 7.1363
Te 7.8115 2.1791 0.0000
Te 1.9745 0.0000 5.6314
Te 6.8049 0.0000 3.4082
Te 7.8115 -2.1791 0.0000
Te 10.8028 0.0000 1.9033
```

Principal peaks in the range 2θ = 5–70°, in order of rising 2θ:
11.39°, I = 59; 13.71°, I = 54; 22.51°, I = 95; 23.81°, I = 91; 23.96°, I = 100; 31.44°, I = 38; 37.13°, I = 43; 52.43°, I = 40

---

(2)
Diffraction record for CsSmSiS4. The powder XRD pattern is calculated, not measured: it uses the GGA-PBE geometry in OQMD and copper Kα.
Lines closer than 0.1° are merged.

Structural model:
```
28
'''
What to do:
The reader should work out how many lines earlier on have the word "uses" in them; a number is enough.
Reply:
2